(Request)
Write out all of the notes underneath with every line break kept.

(Data)
-- begin --
(1)
A geometry-optimized Cs6OsN4 structure, computed with GGA-PBE.

a = 9.686 Å, b = 9.686 Å, c = 11.117 Å
α = 90.00°, β = 90.00°, γ = 90.00°
Atoms (fractional coordinates):
Cs (0.007, 0.507, 0.250)
Cs (0.007, 0.993, 0.250)
Cs (0.250, 0.250, 0.045)
Cs (0.250, 0.250, 0.545)
Cs (0.493, 0.507, 0.250)
Cs (0.493, 0.993, 0.250)
Cs (0.507, 0.007, 0.750)
Cs (0.507, 0.493, 0.750)
Cs (0.750, 0.750, 0.455)
Cs (0.750, 0.750, 0.955)
Cs (0.993, 0.007, 0.750)
Cs (0.993, 0.493, 0.750)
Os (0.250, 0.750, 0.750)
Os (0.750, 0.250, 0.250)
N (0.092, 0.750, 0.839)
N (0.250, 0.592, 0.661)
N (0.250, 0.908, 0.661)
N (0.408, 0.750, 0.839)
N (0.592, 0.250, 0.161)
N (0.750, 0.092, 0.339)
N (0.750, 0.408, 0.339)
N (0.908, 0.250, 0.161)

(2)
A geometry-optimized Li2FeS2 structure, computed with GGA-PBE.

a = 6.713 Å, b = 6.383 Å, c = 8.119 Å
α = 90.00°, β = 92.83°, γ = 90.00°
Atoms (fractional coordinates):
Li (0.031, 0.010, 0.181)
Li (0.031, 0.490, 0.681)
Li (0.385, 0.144, 0.771)
Li (0.385, 0.356, 0.271)
Li (0.615, 0.644, 0.729)
Li (0.615, 0.856, 0.229)
Li (0.969, 0.510, 0.319)
Li (0.969, 0.990, 0.819)
Fe (0.151, 0.618, 0.008)
Fe (0.151, 0.882, 0.508)
Fe (0.849, 0.118, 0.492)
Fe (0.849, 0.382, 0.992)
S (0.188, 0.239, 0.502)
S (0.188, 0.261, 0.002)
S (0.276, 0.733, 0.266)
S (0.276, 0.767, 0.766)
S (0.724, 0.233, 0.234)
S (0.724, 0.267, 0.734)
S (0.812, 0.739, 0.998)
S (0.812, 0.761, 0.498)

Polymorph energy (0 for the lowest one) (meV per atom): 24.6

(3)
A geometry-optimized MgSb2O4 structure, computed with GGA-PBE.

a = 6.853 Å, b = 6.853 Å, c = 10.442 Å
α = 109.75°, β = 109.75°, γ = 27.77°
Atoms (fractional coordinates):
Mg (0.243, 0.243, 0.247)
Mg (0.757, 0.757, 0.753)
Sb (0.119, 0.119, 0.897)
Sb (0.381, 0.381, 0.589)
Sb (0.619, 0.619, 0.411)
Sb (0.881, 0.881, 0.103)
O (0.094, 0.094, 0.277)
O (0.236, 0.236, 0.606)
O (0.270, 0.270, 0.893)
O (0.399, 0.399, 0.234)
O (0.601, 0.601, 0.766)
O (0.730, 0.730, 0.107)
O (0.764, 0.764, 0.394)
O (0.906, 0.906, 0.723)

Polymorph energy (0 for the lowest one) (meV per atom): 105.3

Values for size of the total moment, μB/atom, ordered as above
0.00, 0.80, 0.00
Values for total energy after the MP2020 corrections, eV for the cell shown, ordered as above
-99.46, -103.54, -88.21
Values for energy relative to the elements, eV/atom, ordered as above
0.020, -1.065, -2.065
-- stop --

(Written answer)
(1)
A geometry-optimized Cs6OsN4 structure, computed with GGA-PBE.

a = 9.686 Å, b = 9.686 Å, c = 11.117 Å
α = 90.00°, β = 90.00°, γ = 90.00°
Atoms (fractional coordinates):
Cs (0.007, 0.507, 0.250)
Cs (0.007, 0.993, 0.250)
Cs (0.250, 0.250, 0.045)
Cs (0.250, 0.250, 0.545)
Cs (0.493, 0.507, 0.250)
Cs (0.493, 0.993, 0.250)
Cs (0.507, 0.007, 0.750)
Cs (0.507, 0.493, 0.750)
Cs (0.750, 0.750, 0.455)
Cs (0.750, 0.750, 0.955)
Cs (0.993, 0.007, 0.750)
Cs (0.993, 0.493, 0.750)
Os (0.250, 0.750, 0.750)
Os (0.750, 0.250, 0.250)
N (0.092, 0.750, 0.839)
N (0.250, 0.592, 0.661)
N (0.250, 0.908, 0.661)
N (0.408, 0.750, 0.839)
N (0.592, 0.250, 0.161)
N (0.750, 0.092, 0.339)
N (0.750, 0.408, 0.339)
N (0.908, 0.250, 0.161)

(2)
A geometry-optimized Li2FeS2 structure, computed with GGA-PBE.

a = 6.713 Å, b = 6.383 Å, c = 8.119 Å
α = 90.00°, β = 92.83°, γ = 90.00°
Atoms (fractional coordinates):
Li (0.031, 0.010, 0.181)
Li (0.031, 0.490, 0.681)
Li (0.385, 0.144, 0.771)
Li (0.385, 0.356, 0.271)
Li (0.615, 0.644, 0.729)
Li (0.615, 0.856, 0.229)
Li (0.969, 0.510, 0.319)
Li (0.969, 0.990, 0.819)
Fe (0.151, 0.618, 0.008)
Fe (0.151, 0.882, 0.508)
Fe (0.849, 0.118, 0.492)
Fe (0.849, 0.382, 0.992)
S (0.188, 0.239, 0.502)
S (0.188, 0.261, 0.002)
S (0.276, 0.733, 0.266)
S (0.276, 0.767, 0.766)
S (0.724, 0.233, 0.234)
S (0.724, 0.267, 0.734)
S (0.812, 0.739, 0.998)
S (0.812, 0.761, 0.498)

Polymorph energy (0 for the lowest one) (meV per atom): 24.6

(3)
A geometry-optimized MgSb2O4 structure, computed with GGA-PBE.

a = 6.853 Å, b = 6.853 Å, c = 10.442 Å
α = 109.75°, β = 109.75°, γ = 27.77°
Atoms (fractional coordinates):
Mg (0.243, 0.243, 0.247)
Mg (0.757, 0.757, 0.753)
Sb (0.119, 0.119, 0.897)
Sb (0.381, 0.381, 0.589)
Sb (0.619, 0.619, 0.411)
Sb (0.881, 0.881, 0.103)
O (0.094, 0.094, 0.277)
O (0.236, 0.236, 0.606)
O (0.270, 0.270, 0.893)
O (0.399, 0.399, 0.234)
O (0.601, 0.601, 0.766)
O (0.730, 0.730, 0.107)
O (0.764, 0.764, 0.394)
O (0.906, 0.906, 0.723)

Polymorph energy (0 for the lowest one) (meV per atom): 105.3

Values for size of the total moment, μB/atom, ordered as above
0.00, 0.80, 0.00
Values for total energy after the MP2020 corrections, eV for the cell shown, ordered as above
-99.46, -103.54, -88.21
Values for energy relative to the elements, eV/atom, ordered as above
0.020, -1.065, -2.065